The internet is a wonderful and scary place, filled with pundits, critics and commentators who examine the minutiae of everything so we don’t have to. The pop-culture subconscious they generate can form our opinion for us, sometimes with very little input from ourselves. But are all those ‘bad’ films and TV shows really as bad as the internet would have us believe? Are they not at least worth another quick look, before we cast them aside as irredeemable? We decided to bravely step through the office space/time portal for a last quick look at some of the most maligned…

Every now and again a film comes along that will haunt you. It will stay with you longer than you imagine is possible, like the strangely alluring aftertaste of a wildly ill-advised and suspect kebab. For me, Dungeons and Dragons is that movie, that wonderful and horrifying guilty pleasure that you just don’t want to ever discuss in polite conversation.

It is, undeniably a truly awful film, from beginning to end. There. I said it. It has appalling CGI, with dragons that have been better represented in a Chewits advert. The dialogue is truly dire, clumsily crowbarring in references to the source material here and there in the most jarring fashion. The acting is universally bad, with particular emphasis on Jeremy Irons in the role of the main villain, Profion. Emphasis, ironically, is something he seems to have completely lost control of here as he fervently chews the scenery like a lawnmower chews grass.

Next to the entry, the page also holds quantum chemistry results:
- - -
No. 1
{
  "formula": "C5H8ClN",
  "method": "wB97M-V/def2-TZVPD",
  "de_lowest_kcal_mol": 119.9,
  "e_homo_ev": [-7.80, -8.93],
  "charge": 0,
  "total_energy_ev": -19321.7534,
  "spin_multiplicity": 1,
  "symbols": ["C", "C", "C", "C", "C", "N", "Cl", "H", "H", "H", "H", "H", "H", "H", "H"],
  "xyz": [[1.979, 2.060, 0.873], [1.622, 2.017, -0.374], [-0.444, -0.723, -0.443], [-0.857, -2.104, -1.009], [-1.320, -0.239, 0.651], [0.525, -0.224, -1.007], [1.464, 2.770, -1.804], [2.554, 2.843, 1.390], [1.881, 1.215, 1.579], [-1.804, -1.952, -1.544], [-1.026, -2.722, -0.098], [0.088, -2.419, -1.625], [-1.527, 0.797, 0.806], [-0.941, -0.492, 1.711], [-2.193, -0.826, 0.895]],
  "nbo_charge": [-0.540, 0.022, 0.153, -0.639, -0.700, -0.254, 0.121, 0.208, 0.227, 0.227, 0.215, 0.244, 0.245, 0.240, 0.232]
}


No. 2
{
  "formula": "C48H60N3O3PRbS3",
  "method": "wB97M-V/def2-TZVPD",
  "e_homo_ev": -3.48,
  "charge": -1,
  "total_energy_ev": -103814.6315,
  "spin_multiplicity": 1,
  "symbols": ["Rb", "C", "N", "C", "C", "N", "C", "C", "C", "C", "C", "C", "C", "S", "C", "C", "C", "C", "C", "C", "S", "H", "H", "H", "H", "H", "H", "H", "H", "H", "H", "H", "H", "H", "H", "H", "H", "H", "H", "C", "C", "C", "C", "C", "O", "C", "N", "C", "C", "C", "C", "C", "C", "P", "C", "C", "C", "C", "C", "C", "C", "C", "C", "C", "C", "C", "H", "H", "H", "H", "H", "H", "H", "H", "H", "H", "H", "H", "H", "H", "H", "H", "H", "H", "H", "H", "H", "H", "H", "H", "C", "C", "C", "O", "C", "H", "H", "H", "H", "H", "H", "H", "H", "C", "C", "S", "O", "C", "C", "H", "H", "H", "H", "H", "H", "H", "H", "H", "H"],
- - -
So much for the quantum chemistry results:

So what, if any, are this atrocious films redeeming features? What is it about this execrable mess of a movie that could be said to be good?

The problem is that every one of the many, many problems with this movie that have ever been brought up by its many critics are all incontrovertibly true; but those same weaknesses are in many cases also the films strengths.  Jeremy Irons for example, chewing away at his scenery, is so clearly having a ball that it’s hard not to chuckle along with him. Then there is the genius move of casting Richard O’Brien, so obviously here because of his work on the Crystal Maze, and delivering an extremely familiar, yet eternally pleasing, performance. We even have a Tom Baker cameo, as an extraordinarily aged Elf, somehow managing to deliver a particularly awful line with a perfectly professional manner, something his co-star in the same scene spectacularly fails to do as they repeat his words back to him.

It is truly hilarious throughout, but it’s not as simple as ‘so bad it’s good.’ It must be remembered that D&D was first and foremost a roleplaying game, and like so much in the myriad worlds and styles of role play it is so often taken far too seriously. As someone who occasionally dabbled with D&D in his youth I always remember it as fun, even slightly camp high fantasy, played by friends who shared a sense of humour and spent every game they played in fits of laughter. Nowadays playing MMOs on roleplaying servers is a very different experience, and I speak from the bitter experience of someone who was once harangued out of an area for being an Elf character in a non-Elven location. For some, it is a very serious business, but for this film it is not.

The film itself knows how bad it is, and deliberately plays up to it. It’s a game, and it’s supposed to be fun. Characters are bad caricatures of stereotypical roles on purpose, to play up the genre as a whole, and we can see why as they repeatedly break the fourth wall with no real concern for convention, gurning away into the camera. The actors are enjoying their roles, just as players of the game should do. It doesn’t need to be highbrow, or serious. It’s just a game.

Maybe that’s why this film continues to haunt me. Or maybe it’s because I took my wife to the cinema to see it on Valentine’s day, 2001. She will certainly never let me forget it.

Read: In Defence Of: Predator

Star Wars: The Phantom Menace
